Sunday, September 13, 2009


Finally we have gotten some rain around here...>The clouds rolled in Wednesday and started to dump rain on us Thursday through the weekend. It was great! The kids really enjoyed it and I have to say, I did too. The cooler temps were great too! I don't love the muddy backyard, aka Sally's muddy paws, but it is a small price to pay, no complaints!
We had a good weekend and got some things done here in the house, mainly some changes and fixes around the house and just fun with the kids. I am into Ebay mode out or you might get listed!! Ha ha!
I am excited to start working on my scrapbooks, I am super behind on them, a year on each child...not at all normal for me, but really I am just going to dive in and work on them soon and hope to get caught up by the holidays. Ordered photos and now just need to get to it.
New favorite show, Police women of Broward County. Seriously Love it! What bad asses?! Can I say that? Well I think they are pretty impressive ladies.
Going to Zach's school on Tuesday for a Volunteer orientation and breakfast thing...Excited to get to meet other moms, get involved in the school and have some time to do things out of the house too. I was considering doing the OSC (officer spouse club) here and still might...but right now I need something that doesn't have a ton of time and commitment...Erin is only at her KDO a few hours a week and thus far we have no I don't want to over commit and then be lame saying no all the time.
Excited for plans this week with other people...
Dinner at my new friend Kristine's house on Tuesday night...she is the one who I met through that crazy meet up group that was a flop, but she was super nice.
Dinner on Saturday with the Prichards, are friends from Abilene who were also our neighbors. Great family and we both really like them a lot...they have 4 kids, 10, 7, 4 and it will be fun! They have offered to watch our kids on Friday night so we can go to a dinning out on base, but I am not 100% sure I am ready for that with Erin being so scared with strangers...Brandon was supposed to set up a sitter, but it didn't happen and now I am not sure. So I am on the fence with that one...
All in all a fun week ahead...a few photos from tonight and the rainbow we got out back...
Erin in stitches...Sally was making her laugh!
Zachary being super silly...isn't that all 5 for you? He was dancing and singing...this child can't take a bad photo!
Zach and pals still. No photo with Erin...Sally won't pose with her...they aren't as close.
But I got her to give a smile for the camera with me...cheese!

(Crystal structures that have nothing to do with the page)
# 1
First-principles (GGA-PBE) data for a relaxed structure of MnCdGe2H, as listed in Alexandria via LeMat-Bulk.

The structure in POSCAR format:
```
MnCdGe2H
1.0
4.449 0.000 0.000
0.000 4.017 0.000
0.000 0.000 4.449
Mn Cd Ge H
1 1 2 1
Direct
0.500 0.500 0.500 Mn
0.000 0.500 0.000 Cd
0.000 0.000 0.500 Ge
0.500 0.000 0.000 Ge
0.000 0.000 0.000 H
```

* V: 15.90 Å³ per atom
* SG: P4/mmm
* energy: -4.078 eV/atom

=====

# 2
First-principles (GGA-PBE) data for a relaxed structure of Cd2GeHN, as listed in Alexandria via LeMat-Bulk.

The structure in POSCAR format:
```
Cd2GeHN
1.0
-2.590 -0.140 4.365
-1.952 -1.613 -1.210
2.570 -4.153 1.391
Cd Ge H N
2 1 1 1
Direct
0.000 0.000 0.500 Cd
0.500 0.000 0.000 Cd
0.500 0.500 0.500 Ge
0.000 0.500 0.000 H
0.000 0.000 0.000 N
```

* V: 14.47 Å³ per atom
* SG: P4/mmm
* energy: -3.126 eV/atom

=====

# 3
First-principles (GGA-PBE) data for a relaxed structure of Na2CdGeH, as listed in Alexandria via LeMat-Bulk.

The structure in POSCAR format:
```
Na2CdGeH
1.0
-4.593 -0.040 -1.419
-1.419 -0.033 4.593
-0.041 4.145 0.017
Cd H Na Ge
1 1 2 1
Direct
0.500 0.500 0.500 Cd
0.000 0.000 0.000 H
0.000 0.500 0.000 Na
0.500 0.000 0.000 Na
0.000 0.000 0.500 Ge
```

* V: 19.16 Å³ per atom
* energy above the most stable polymorph in this dataset: 0.11 eV/f.u.
* SG: P4/mmm

=====

# 4
First-principles (GGA-PBE) data for a relaxed structure of Na2CdGeH, as listed in Alexandria via LeMat-Bulk.

The structure in POSCAR format:
```
Na2CdGeH
1.0
-1.880 3.939 0.728
-2.100 -0.285 -3.885
-3.652 -2.137 2.131
Na H Ge Cd
2 1 1 1
Direct
0.500 0.000 0.000 Na
0.000 0.500 0.000 Na
0.000 0.000 0.000 H
0.500 0.500 0.500 Ge
0.000 0.000 0.500 Cd
```

* V: 18.56 Å³ per atom
* energy above the most stable polymorph in this dataset: 0.00 eV/f.u.
* SG: P4/mmm

=====

# 5
First-principles (GGA-PBE) data for a relaxed structure of CdGeH2O4, as listed in Alexandria via LeMat-Bulk.

The structure in POSCAR format:
```
CdGeH2O4
1.0
-2.606 0.639 -3.498
1.062 -2.513 -4.028
-3.947 -2.822 -0.354
Cd Ge O H
1 1 4 2
Direct
0.000 0.000 0.000 Cd
0.500 0.500 0.500 Ge
0.576 0.581 0.805 O
0.424 0.195 0.419 O
0.039 0.805 0.581 O
0.961 0.419 0.195 O
0.814 0.686 0.686 H
0.186 0.314 0.314 H
```

* V: 10.36 Å³ per atom
* SG: I222
* energy: -5.158 eV/atom

=====

# 6
First-principles (GGA-PBE) data for a relaxed structure of Cd2GeHPd6, as listed in Alexandria via LeMat-Bulk.

The structure in POSCAR format:
```
Cd2GeHPd6
1.0
5.636 -0.231 -0.261
-0.315 6.699 0.300
2.434 3.462 4.211
H Cd Ge Pd
1 2 1 6
Direct
0.500 0.500 0.000 H
0.295 0.801 0.409 Cd
0.705 0.199 0.591 Cd
0.000 0.000 0.000 Ge
0.770 0.820 0.541 Pd
0.230 0.180 0.459 Pd
0.793 0.318 0.995 Pd
0.207 0.682 0.005 Pd
0.346 0.345 0.865 Pd
0.654 0.655 0.135 Pd
```

* V: 15.72 Å³ per atom
* SG: P-1
* energy: -4.391 eV/atom

=====

# 7
First-principles (GGA-PBE) data for a relaxed structure of PmCdGeH, as listed in Alexandria via LeMat-Bulk.

The structure in POSCAR format:
```
PmCdGeH
1.0
4.244 0.000 0.000
0.000 4.244 0.000

1 comment:

[Between two parts of the piece: data records]
-- begin --
Density functional theory data (PBE-GGA) for a relaxed structure of Nb4AlGaC2.

Results
* calculated total energy: -8.714 eV/atom
* total moment: 0.00 μB/f.u.

a b c (Å): 3.1375 3.1375 13.8073
angles (deg): 90.00 90.00 120.00
Space group P-6m2 (No. 187)
Asymmetric unit:
1 Nb 0.0000 0.0000 0.1592 [2 per cell]
2 Nb 0.6667 0.3333 0.3388 [2 per cell]
3 Al 0.0000 0.0000 0.5000 [1 per cell]
4 Ga 0.6667 0.3333 0.0000 [1 per cell]
5 C 0.3333 0.6667 0.2491 [2 per cell]


## HoErSn (PBE)

Data for a relaxed HoErSn crystal.

```
HoErSn
1.0
4.445 0.000 -0.927
-0.193 4.441 -0.927
-0.475 -0.496 8.843
Sn Er Ho
2 2 2
Cartesian
2.579 2.693 1.244
1.198 1.251 5.745
2.223 0.000 -0.463
-0.097 2.221 -0.463
0.579 0.604 2.775
3.198 3.340 4.214
```

Properties
Energy relative to the lowest polymorph listed for this composition (meV/atom): 11
DFT total energy (eV/f.u.): -14.9
Theoretical density (kg/m3): 8784
Space group: I4/mmm


(1)
DFT (PBE-GGA) results for a geometry-optimized ZnSiIr2 structure.

Results
Crystal system: tetragonal
ΔE_f (raw): -31 meV/atom
N(E_F): 0.18 states/eV/atom

a b c (Å): 6.834 6.834 5.334
angles (deg): 90.00 90.00 90.00
Space group I-42d (No. 122)
Symmetry-distinct sites (fractional):
Zn 0.000 0.000 0.000
Si 0.000 0.000 0.500
Ir 0.200 0.250 0.625

***

(2)
DFT (PBE-GGA) results for a geometry-optimized Ti8V2Zn structure.

Results
Crystal system: monoclinic
N(E_F): 0.99 states/eV/atom
E_form: 101 meV per atom

a b c (Å): 13.793 5.390 5.004
angles (deg): 90.00 94.21 90.00
Space group C2/m (No. 12)
Symmetry-distinct sites (fractional):
Ti 0.063 0.000 0.165
Ti 0.115 0.249 0.650
Ti 0.203 0.500 0.137
V 0.229 0.000 0.345
Zn 0.000 0.500 0.000

***

(3)
DFT (PBE-GGA) results for a geometry-optimized Mn2FeRh structure.

Results
Crystal system: tetragonal
N(E_F): 1.40 states/eV/atom
E_form: 51 meV per atom
Distance to the lowest polymorph of the same formula: 0.111 eV/atom

a b c (Å): 2.581 2.581 7.142
angles (deg): 90.00 90.00 90.00
Space group P4/mmm (No. 123)
Symmetry-distinct sites (fractional):
Mn 0.000 0.000 0.238
Fe 0.500 0.500 0.000
Rh 0.500 0.500 0.500

***

(4)
DFT (PBE-GGA) results for a geometry-optimized KZn2Re structure.

Results
Crystal system: tetragonal
N(E_F): 0.90 states/eV/atom
E_form: 1039 meV per atom
Distance to the lowest polymorph of the same formula: 0.551 eV/atom

a b c (Å): 5.221 5.221 17.400
angles (deg): 90.00 90.00 90.00
Space group I-42d (No. 122)
Symmetry-distinct sites (fractional):
K 0.000 0.000 0.000
Zn 0.001 0.750 0.625
Re 0.000 0.000 0.500

***

(5)
DFT (PBE-GGA) results for a geometry-optimized Tb3Pm2HoSe6 structure.

Results
Crystal system: monoclinic
ΔE_f (raw): -1785 meV/atom
N(E_F): 0.47 states/eV/atom

a b c (Å): 17.960 4.106 8.291
angles (deg): 90.00 103.34 90.00
Space group C2/m (No. 12)
Symmetry-distinct sites (fractional):
Tb 0.000 0.000 0.000
Tb 0.170 0.500 0.333
Pm 0.168 0.500 0.836
Ho 0.000 0.000 0.500
Se 0.003 0.500 0.254
Se 0.164 0.000 0.088
Se 0.164 0.000 0.576

***

(6)
-- stop --
[Back to the piece]

Anonymous said...

The entry is interrupted by records of crystals:
'''
LaSm2Dy4 | PBE | relaxed

V   34.21 A^3/atom
E_form   0.249 eV/atom
Spin magnetization   0.00 μB per formula unit
VASP energy   -31.0 eV per formula unit
Offset from the most stable computed form   0.29 eV/f.u.
Symmetry   I4/mmm (139)

Lattice parameters (Å, degrees): 4.582 4.582 11.858 101.14 101.14 90.00
Element x y z (fractional)
Sm1 0.398 0.398 0.796
Sm2 0.602 0.602 0.204
Dy1 0.750 0.250 0.500
Dy2 0.859 0.859 0.718
Dy3 0.250 0.750 0.500
Dy4 0.141 0.141 0.282
La1 0.000 0.000 0.000


CdFe3Pd12 | PBE | relaxed

V   15.15 A^3/atom
E_form   -0.134 eV/atom
Spin magnetization   13.06 μB per formula unit
VASP energy   -90.8 eV per formula unit
Symmetry   P4/mmm (123)

Lattice parameters (Å, degrees): 3.932 3.932 15.677 90.00 90.00 90.00
Each line ends with the local moment (μB).
Element x y z (fractional)
Fe1 0.000 0.000 0.748  3.30
Fe2 0.000 0.000 0.500  3.31
Fe3 0.000 0.000 0.252  3.30
Pd1 0.500 0.500 0.256  0.31
Pd2 0.500 0.000 0.865  0.23
Pd3 0.500 0.000 0.622  0.34
Pd4 0.500 0.500 0.744  0.31
Pd5 0.500 0.500 0.000  0.09
Pd6 0.000 0.500 0.622  0.34
Pd7 0.500 0.500 0.500  0.34
Pd8 0.000 0.500 0.135  0.23
Pd9 0.000 0.500 0.378  0.34
Pd10 0.500 0.000 0.378  0.34
Pd11 0.000 0.500 0.865  0.23
Pd12 0.500 0.000 0.135  0.23
Cd1 0.000 0.000 0.000  -0.01


RbTcO6 | PBE | relaxed

V   17.40 A^3/atom
E_form (uncorrected)   -3.3 eV/f.u.
Spin magnetization   4.00 μB per formula unit
VASP energy   -44.3 eV per formula unit
Symmetry   R-3m (166)

Lattice parameters (Å, degrees): 5.209 5.209 5.209 95.57 95.57 95.57
Each line ends with the local moment (μB).
Element x y z (fractional)
O1 0.750 0.412 0.750  0.62
O2 0.250 0.588 0.250  0.62
O3 0.412 0.750 0.750  0.62
O4 0.588 0.250 0.250  0.62
O5 0.250 0.250 0.588  0.62
O6 0.750 0.750 0.412  0.62
Tc1 0.500 0.500 0.500  -0.46
Rb1 0.000 0.000 0.000  0.00


Tb5AlCo2 | PBE | relaxed

V   23.91 A^3/atom
E_form   -0.207 eV/atom
Spin magnetization   0.00 μB per formula unit
VASP energy   -42.8 eV per formula unit
Symmetry   I4/mcm (140)

Lattice parameters (Å, degrees): 7.616 7.616 8.516 116.56 116.56 90.00
Element x y z (fractional)
Tb1 0.298 0.798 0.270
Tb2 0.202 0.028 0.730
Tb3 0.472 0.298 0.270
Tb4 0.528 0.702 0.730
Tb5 0.798 0.972 0.270
Tb6 0.972 0.472 0.270
Tb7 0.000 0.000 0.000
Tb8 0.028 0.528 0.730
Tb9 0.702 0.202 0.730
Tb10 0.500 0.500 0.000
Al1 0.250 0.250 0.500
Al2 0.750 0.750 0.500
Co1 0.631 0.131 0.000
Co2 0.869 0.631 0.000
Co3 0.369 0.869 0.000
Co4 0.131 0.369 0.000


BaHS2N | PBE | relaxed

V   44.67 A^3/atom
Spin magnetization   6.00 μB per formula unit
VASP energy   -15.2 eV per formula unit
Offset from the most stable computed form   4.71 eV/f.u.
Symmetry   P4/mmm (123)

Lattice parameters (Å, degrees): 6.339 6.339 5.559 90.00 90.00 90.00
Each line ends with the local moment (μB).
Element x y z (fractional)
H1 0.500 0.500 0.500  0.38
S1 0.000 0.500 0.000  0.73
S2 0.500 0.000 0.000  0.73
N1 0.000 0.000 0.500  1.54
Ba1 0.000 0.000 0.000  0.00


AcMgAs2Pt5 | PBE | relaxed

V   21.25 A^3/atom
'''

Great pictures once again. Happy to hear the social life is picking up. K